### Listing
=====
# 1
# SiB2H50C21N2

An optimized crystal structure of SiB2H50C21N2 (PBE, Materials Project).

Cell and atoms, written as POSCAR:
```
SiB2H50C21N2
1.0
0.000 10.642 0.000
0.000 0.000 14.366
19.448 0.000 0.000
H C N B Si
200 84 8 8 4
Cartesian
10.114 5.827 10.973
14.449 9.285 7.726
6.359 7.375 0.598
13.218 9.834 9.312
5.582 5.082 7.977
3.643 3.774 13.087
1.576 8.390 5.777
5.397 3.448 7.306
13.813 5.197 12.846
9.279 2.716 10.741
11.747 2.626 8.767
16.357 0.699 0.796
9.316 8.039 7.194
11.731 9.137 3.040
17.090 2.314 0.869
6.089 10.022 3.181
8.293 0.136 12.172
11.589 6.140 11.885
10.594 2.943 2.928
7.182 7.671 9.536
4.142 10.402 0.795
15.215 1.635 9.058
14.050 7.193 0.123
13.970 2.670 5.650
0.444 8.037 3.558
13.336 2.897 9.495
12.991 3.676 13.216
10.404 6.821 0.917
10.168 7.925 3.558
2.419 7.359 12.558
4.998 1.357 0.543
2.023 2.695 8.767
16.625 10.089 12.827
15.748 6.946 7.680
11.805 0.236 9.589
10.560 5.462 14.151
3.700 3.696 0.497
10.318 1.484 11.491
2.823 0.553 5.645
4.448 1.572 11.898
5.228 10.344 6.818
8.794 1.573 0.561
6.230 0.807 2.129
11.701 8.804 14.266
1.480 0.367 4.501
3.612 2.423 9.495
16.192 2.947 11.131
0.720 2.133 11.985
7.366 3.007 0.869
6.587 5.766 11.084
15.359 10.518 5.663
3.137 0.446 3.901
0.354 4.434 13.930
14.157 2.868 3.898
6.456 6.966 6.033
18.578 8.264 10.111
2.081 5.085 9.589
13.311 7.215 5.835
14.999 9.070 4.715
1.851 3.859 2.986
13.607 1.316 4.564
8.243 5.688 11.683
13.193 9.978 3.545
10.078 0.887 13.930
0.768 0.646 7.535
5.841 9.326 11.746
15.812 5.940 3.181
4.326 8.769 0.123
5.635 5.445 5.663
7.858 4.502 4.702
0.408 2.718 0.011
3.469 5.984 3.545
0.836 10.500 14.151
12.081 7.634 8.051
15.861 1.894 13.018
15.954 4.514 2.129
11.042 7.316 10.687
8.956 5.967 0.352
16.311 10.196 11.084
17.871 2.252 12.960
14.952 5.619 6.818
6.024 9.017 7.680
6.112 7.744 2.313
18.716 6.662 0.186
6.633 4.622 0.796
10.654 9.068 7.744
15.306 0.239 7.977
11.300 7.572 5.777
2.007 6.825 3.040
18.518 3.748 0.561
5.477 7.972 12.833
3.267 1.645 13.216
8.888 5.180 6.968
6.901 5.874 12.827
16.083 8.588 0.598
6.255 0.663 10.728
13.367 1.547 13.087
0.681 9.141 0.917
18.679 9.995 0.352
10.444 3.188 11.985
13.866 5.560 0.795
10.995 9.862 13.032
11.204 4.954 4.501
4.496 5.023 14.001
4.726 6.677 7.726
1.431 5.457 4.989
17.471 3.484 7.084
1.271 6.100 13.032
18.767 1.500 8.100
14.219 0.298 14.001
17.029 3.282 5.376
5.491 3.686 9.058
6.468 2.374 11.131
0.732 3.979 7.369
3.883 4.005 4.564
9.369 9.755 6.747
12.861 4.875 3.901
9.129 9.158 4.308
8.147 3.069 12.960
15.121 1.872 7.306
1.318 8.646 10.687
15.561 1.987 1.710
4.233 9.007 1.875
13.611 7.308 8.892
7.716 1.504 10.223
5.837 3.334 1.710
16.180 8.996 6.033
3.256 7.694 3.949
3.365 2.054 7.781
17.367 5.556 2.406
8.992 9.300 0.186
5.291 7.773 11.081
17.425 7.947 1.584
0.390 10.135 10.973
18.853 6.805 4.308
7.747 1.837 7.084
17.440 3.817 10.223
7.305 2.038 5.376
4.433 2.453 3.898
17.596 6.782 10.169
15.201 7.991 12.833
18.176 4.541 5.849
8.406 3.325 3.504
6.081 9.094 5.904
10.132 2.603 0.011
18.611 0.141 6.968
0.870 2.378 2.928
11.155 10.506 4.989
15.015 8.189 11.081
5.275 6.892 4.715
12.980 8.268 3.949
12.547 4.768 5.645
13.424 1.625 0.497
17.582 0.819 4.702
12.266 2.971 2.353
12.815 6.020 7.979
10.456 1.341 7.369
9.334 4.815 3.790
12.143 8.603 12.558
3.635 4.701 10.364
19.093 6.208 6.747
15.805 6.868 5.904
2.542 2.350 2.353
16.905 8.291 9.536
3.587 8.747 5.835
13.089 3.267 7.781
3.091 9.942 7.979
4.089 0.124 12.846
14.722 3.964 0.543
19.003 2.604 10.741
4.246 2.651 5.650
3.494 6.128 9.312
1.977 7.158 14.266
13.957 6.956 1.875
3.887 8.654 8.892
19.058 0.506 3.790
10.492 4.674 7.535
15.565 6.637 11.746
19.040 7.924 7.194
18.727 8.509 4.802
11.575 1.461 2.986
7.872 9.180 10.169
14.172 3.749 11.898
6.137 3.426 13.018
0.930 6.894 7.744
18.129 1.995 3.504
15.978 4.657 10.728
17.967 10.275 11.683
9.043 3.820 8.100
7.643 10.406 2.406
8.453 0.780 5.849
7.701 8.016 1.584
8.854 7.698 10.111
0.594 3.837 11.491
2.358 8.328 8.051
1.865 9.823 11.885
13.359 0.619 10.364
18.017 5.185 12.172
9.003 7.453 4.802
=====

### Brief
Repeat the part of the block above that starts with the line with "8.147 3.069" and stops after the one with "13.089 3.267".

### Written answer
8.147 3.069 12.960
15.121 1.872 7.306
1.318 8.646 10.687
15.561 1.987 1.710
4.233 9.007 1.875
13.611 7.308 8.892
7.716 1.504 10.223
5.837 3.334 1.710
16.180 8.996 6.033
3.256 7.694 3.949
3.365 2.054 7.781
17.367 5.556 2.406
8.992 9.300 0.186
5.291 7.773 11.081
17.425 7.947 1.584
0.390 10.135 10.973
18.853 6.805 4.308
7.747 1.837 7.084
17.440 3.817 10.223
7.305 2.038 5.376
4.433 2.453 3.898
17.596 6.782 10.169
15.201 7.991 12.833
18.176 4.541 5.849
8.406 3.325 3.504
6.081 9.094 5.904
10.132 2.603 0.011
18.611 0.141 6.968
0.870 2.378 2.928
11.155 10.506 4.989
15.015 8.189 11.081
5.275 6.892 4.715
12.980 8.268 3.949
12.547 4.768 5.645
13.424 1.625 0.497
17.582 0.819 4.702
12.266 2.971 2.353
12.815 6.020 7.979
10.456 1.341 7.369
9.334 4.815 3.790
12.143 8.603 12.558
3.635 4.701 10.364
19.093 6.208 6.747
15.805 6.868 5.904
2.542 2.350 2.353
16.905 8.291 9.536
3.587 8.747 5.835
13.089 3.267 7.781